........
This entry pairs a crystal structure of ScNi15Sn4 with its calculated PXRD pattern. Radiation: Cu Ka. Structure: a cell relaxed with PBE.
Peak positions follow from Bragg's law for the DFT cell and can differ from measured ones.

Atomic structure:
Lattice parameters (Å, degrees): 3.7355 3.7355 18.5754 90.00 90.00 90.00
Fractional positions:
Sc  0.0000  0.0000  0.0000
Ni  0.0000  0.5000  0.0997
Ni  0.0000  0.5000  0.2992
Ni  0.0000  0.5000  0.5000
Ni  0.0000  0.5000  0.7008
Ni  0.0000  0.5000  0.9003
Ni  0.5000  0.0000  0.0997
Ni  0.5000  0.0000  0.2992
Ni  0.5000  0.0000  0.5000
Ni  0.5000  0.0000  0.7008
Ni  0.5000  0.0000  0.9003
Ni  0.5000  0.5000  0.0000
Ni  0.5000  0.5000  0.2004
Ni  0.5000  0.5000  0.3995
Ni  0.5000  0.5000  0.6005
Ni  0.5000  0.5000  0.7996
Sn  0.0000  0.0000  0.1987
Sn  0.0000  0.0000  0.3997
Sn  0.0000  0.0000  0.6003
Sn  0.0000  0.0000  0.8013

Top 8 peaks for 15° ≤ 2θ ≤ 90°, sorted by position:
h k l, 2θ/deg, I (rel.)
1 1 0, 34.0, 4.9
1 1 5, 42.0, 100.0
2 0 0, 48.8, 31.9
0 0 10, 49.0, 15.8
2 2 0, 71.4, 9.7
2 0 10, 71.7, 19.3
3 1 5, 86.4, 23.5
1 1 15, 86.9, 11.6
........
The reader should count the lines above that contain the word "Structure" and give the number alone.
1